# Contents
+++
[1]
Diffraction record for Rb2YSnCl6. The powder diffraction line list is calculated, not measured: it uses a structure optimized by DFT (GGA-PBE) and Cu Kα (λ = 1.5418 Å).
Intensities are scaled so that the largest is 100.

Peak list (10 most intense, 2θ = 5–70°, sorted by position)
2theta, d (Å), Rel. int.
21.52, 4.129, 100
22.97, 3.872, 40
28.39, 3.144, 40
32.71, 2.738, 61
36.83, 2.441, 20
39.49, 2.282, 42
43.85, 2.065, 46
46.93, 1.936, 21
55.76, 1.649, 22
57.91, 1.592, 20

Crystal structure
Cell: 8.338 8.338 8.338 Å, 124.65 124.65 82.11°
Fractional positions:
Rb (0.250, 0.750, 0.500)
Rb (0.750, 0.250, 0.500)
Y (0.000, 0.000, 0.000)
Sn (0.500, 0.500, 0.000)
Cl (0.210, 0.210, 0.000)
Cl (0.241, 0.241, 0.482)
Cl (0.241, 0.759, 0.000)
Cl (0.759, 0.241, 0.000)
Cl (0.759, 0.759, 0.518)
Cl (0.790, 0.790, 0.000)

[2]
Diffraction record for CeTaVGe2. The powder diffraction line list is calculated, not measured: it uses a structure optimized by DFT (GGA-PBE) and Cu Kα (λ = 1.5418 Å).
Intensities are scaled so that the largest is 100.

Peak list (10 most intense, 2θ = 5–70°, sorted by position)
2theta, d (Å), Rel. int.
23.46, 3.792, 28
29.95, 2.983, 13
31.72, 2.821, 49
35.11, 2.556, 100
44.17, 2.050, 49
45.35, 2.000, 41
56.40, 1.631, 19
56.57, 1.627, 12
65.18, 1.431, 20
66.07, 1.414, 13

Crystal structure
Cell: 6.603 6.603 6.603 Å, 144.74 144.74 50.73°
Fractional positions:
Ce (0.000, 0.000, 0.000)
Ta (0.250, 0.750, 0.500)
V (0.750, 0.250, 0.500)
Ge (0.392, 0.392, 0.000)
Ge (0.608, 0.608, 0.000)

[3]
Diffraction record for La5Tb4Tm4. The powder diffraction line list is calculated, not measured: it uses a structure optimized by DFT (GGA-PBE) and Cu Kα (λ = 1.5418 Å).
Intensities are scaled so that the largest is 100.

Peak list (9 most intense, 2θ = 5–70°, sorted by position)
2theta, d (Å), Rel. int.
9.58, 9.231, 1
30.29, 2.951, 100
35.05, 2.560, 34
35.26, 2.545, 17
50.41, 1.810, 12
50.56, 1.805, 24
59.95, 1.543, 29
60.23, 1.537, 14
63.01, 1.475, 12

Crystal structure
Cell: 9.576 9.576 9.576 Å, 94.05 94.05 149.17°
Fractional positions:
La (0.000, 0.000, 0.000)
La (0.306, 0.540, 0.846)
La (0.460, 0.306, 0.766)
La (0.540, 0.694, 0.234)
La (0.694, 0.460, 0.154)
Tb (0.076, 0.386, 0.462)
Tb (0.386, 0.924, 0.311)
Tb (0.614, 0.076, 0.689)
Tb (0.924, 0.614, 0.538)
Tm (0.155, 0.765, 0.921)
Tm (0.235, 0.155, 0.390)
Tm (0.765, 0.845, 0.610)
Tm (0.845, 0.235, 0.079)

[4]
Diffraction record for Er2Au2O7. The powder diffraction line list is calculated, not measured: it uses a structure optimized by DFT (GGA-PBE) and Cu Kα (λ = 1.5418 Å).
Intensities are scaled so that the largest is 100.

Peak list (7 most intense, 2θ = 5–70°, sorted by position)
2theta, d (Å), Rel. int.
14.70, 6.024, 1
28.37, 3.146, 1
29.66, 3.012, 100
34.38, 2.609, 37
49.41, 1.845, 47
58.69, 1.573, 45
61.58, 1.506, 10

Crystal structure
Cell: 7.378 7.378 7.378 Å, 60.00 60.00 60.00°
Fractional positions:
Er (0.000, 0.000, 0.000)
Er (0.000, 0.000, 0.500)
Er (0.000, 0.500, 0.000)
Er (0.500, 0.000, 0.000)
Au (0.000, 0.500, 0.500)
Au (0.500, 0.000, 0.500)
Au (0.500, 0.500, 0.000)
Au (0.500, 0.500, 0.500)
O (0.125, 0.125, 0.125)
O (0.152, 0.152, 0.598)
O (0.152, 0.598, 0.152)
O (0.152, 0.598, 0.598)
O (0.402, 0.402, 0.848)
O (0.402, 0.848, 0.402)
O (0.402, 0.848, 0.848)
O (0.598, 0.152, 0.152)
O (0.598, 0.152, 0.598)
O (0.598, 0.598, 0.152)
O (0.848, 0.402, 0.402)
O (0.848, 0.402, 0.848)
O (0.848, 0.848, 0.402)
O (0.875, 0.875, 0.875)

[5]
Diffraction record for Pr3Cu2BRh3. The powder diffraction line list is calculated, not measured: it uses a structure optimized by DFT (GGA-PBE) and Cu Kα (λ = 1.5418 Å).
Intensities are scaled so that the largest is 100.

Peak list (10 most intense, 2θ = 5–70°, sorted by position)
2theta, d (Å), Rel. int.
23.86, 3.729, 17
35.15, 2.553, 100
36.82, 2.441, 50
37.90, 2.374, 25
41.97, 2.153, 19
45.28, 2.003, 15
48.85, 1.864, 13
52.23, 1.751, 13
57.81, 1.595, 16
65.61, 1.423, 18

Crystal structure
Cell: 7.458 7.458 3.503 Å, 90.00 90.00 120.00°
+++

# Activity
What is needed: count the lines further up that contain the word "Crystal" and give the number alone.

# Outcome
5